View Full Version : Dog Day Afternoon Event - 130 Pictures!

06-19-2004, 06:30 PM
The boys, Tiffaney and I had a blast today at the "Dog Day Afternoon" event. Kai was a bit "talkative" when he saw the other dogs doing agility but he quickly learned "leave it". Kaedyn was a really good boy today! The only time he growled was at a little dog but it was a very small growl and stopped after a second. Other than that, he didn't even bark at a single person or dog! He also didn't attempt to lunge at anyone!! Here are some pictures followed by the link to the album:


Blue merle Sheltie


hehehe, Kaedyn started walking in front of Kai and blocked his view of the agility course. Kai, of course, couldn't "talk" to the dogs on the course! :D

A BC getting some good ol' TLC

Kai and I playing "Musical Mats". It was like musical chairs except the dogs were supposed to sit on the mat. Kai won. :D

Then we went to the water.

A reluctant Kaedyn

Attached: calculated crystals.
- - -
(1)
# PBE Pm3BeGe3, optimized geometry
data_Pm3BeGe3
_symmetry_space_group_name_H-M 'I m m 2'
_symmetry_Int_Tables_number 44
_cell_length_a 4.004
_cell_length_b 4.355
_cell_length_c 18.051
_cell_angle_alpha 90.00
_cell_angle_beta 90.00
_cell_angle_gamma 90.00
loop_
_symmetry_equiv_pos_as_xyz
'x,y,z'
'-x,-y,z'
'-x,y,z'
'x,-y,z'
'x+1/2,y+1/2,z+1/2'
'-x+1/2,-y+1/2,z+1/2'
'-x+1/2,y+1/2,z+1/2'
'x+1/2,-y+1/2,z+1/2'
loop_
_atom_site_label
_atom_site_fract_x
_atom_site_fract_y
_atom_site_fract_z
Pm1 0.000 0.000 0.000
Pm2 0.000 0.000 0.366
Pm3 0.000 0.500 0.681
Be1 0.000 0.500 0.113
Ge1 0.000 0.000 0.547
Ge2 0.000 0.000 0.829
Ge3 0.000 0.500 0.238
# Total magnetic moment: 0.55 μB/f.u.
# E: -5.2774 eV per atom
# Excess energy over the best structure of this formula in the dataset: 0.00 eV per formula unit
# DOS(E_F): 9.2 states/eV/cell

(2)
# PBE Mn6SiGe, optimized geometry
data_Mn6SiGe
_symmetry_space_group_name_H-M 'A m m 2'
_symmetry_Int_Tables_number 38
_cell_length_a 4.031
_cell_length_b 5.703
_cell_length_c 8.136
_cell_angle_alpha 90.00
_cell_angle_beta 90.00
_cell_angle_gamma 90.00
loop_
_symmetry_equiv_pos_as_xyz
'x,y,z'
'-x,-y,z'
'-x,y,z'
'x,-y,z'
'x,y+1/2,z+1/2'
'-x,-y+1/2,z+1/2'
'-x,y+1/2,z+1/2'
'x,-y+1/2,z+1/2'
loop_
_atom_site_label
_atom_site_fract_x
_atom_site_fract_y
_atom_site_fract_z
Mn1 0.000 0.000 0.000
Mn2 0.000 0.238 0.741
Mn3 0.500 0.000 0.241
Mn4 0.500 0.247 0.502
Si1 0.500 0.000 0.761
Ge1 0.000 0.000 0.481
# Total magnetic moment: 2.02 μB/f.u.
# ΔE_f (raw): -13.0 kJ/mol of atoms
# E: -8.2669 eV per atom
# DOS(E_F): 14.6 states/eV/cell

(3)
# PBE Ca2InFe, optimized geometry
data_Ca2InFe
_symmetry_space_group_name_H-M 'R -3 m'
_symmetry_Int_Tables_number 166
_symmetry_space_group_name_Hall '-R 3 2"'
_cell_length_a 3.5424
_cell_length_b 3.5424
_cell_length_c 29.6858
_cell_angle_alpha 90.00
_cell_angle_beta 90.00
_cell_angle_gamma 120.00
loop_
_atom_site_label
_atom_site_fract_x
_atom_site_fract_y
_atom_site_fract_z
Ca1 0.0000 0.0000 0.2425
In1 0.0000 0.0000 0.0000
Fe1 0.0000 0.0000 0.5000
# Total magnetic moment: 2.57 μB/f.u.
# E: -3.4989 eV per atom
# DOS(E_F): 13.1 states/eV/cell

(4)
# PBE NpPa2In, optimized geometry
data_NpPa2In
_symmetry_space_group_name_H-M 'P 4/m m m'
_symmetry_Int_Tables_number 123
_symmetry_space_group_name_Hall '-P 4 2'
_cell_length_a 4.712
_cell_length_b 4.712
_cell_length_c 4.405
_cell_angle_alpha 90.00
_cell_angle_beta 90.00
_cell_angle_gamma 90.00
loop_
_atom_site_label
_atom_site_fract_x
_atom_site_fract_y
_atom_site_fract_z
Np1 0.000 0.000 0.000
Pa1 0.000 0.500 0.500
In1 0.500 0.500 0.000
# Total magnetic moment: 4.84 μB/f.u.
# E: -8.5102 eV per atom
# Excess energy over the best structure of this formula in the dataset: 0.00 eV per formula unit
# DOS(E_F): 11.7 states/eV/cell

(5)
# PBE CoHgAsPb2, optimized geometry
data_CoHgAsPb2
_symmetry_space_group_name_H-M 'P 4/m m m'
_symmetry_Int_Tables_number 123
_symmetry_space_group_name_Hall '-P 4 2'
_cell_length_a 5.784
_cell_length_b 5.784
- - -

Kai seemed to enjoy the water. This was his second time in the water. The first time we introduced him to water, he was TERRIFIED!! He even attempted to swim a couple times! (You can see Kaedyn refusing to go in too)

A Golden and Kae saying hi.

More comin'

06-19-2004, 06:36 PM
Kai tryin' to swim

My pretty boy! :D


Posing with the treats he won from "musical mats"


The album (http://www.imagestation.com/album/?id=4286500085&mode=invite)

06-19-2004, 07:10 PM

LMAO! That would *so* be Daisy, haha. :p

Awww, pretty boys! :D Looks like a lot of fun.

I'm amazed Kai seems to like the water.. I've never seen a Sheltie or Collie 'enjoy' water for any reason. :p

Great pictures, Ash!

06-19-2004, 07:39 PM
Great pics of a fun day:D Congrats Kaedyn on being such a good boy...so well mannered!:) And to Kai, the musical mats winner:D You even got a swim in, sweetie:)

06-19-2004, 10:44 PM
Awesome pics Ashley!:D Looks like tons of fun, I wish we had something like that here. Congrats to Kai for winning 'musical mats', and a 'Good boy!' to Kaedyn! Give them both hugs for me!:)

06-20-2004, 12:45 PM
Great pictures! Looks like they had fun! All the dogs are very cute:D

Thanks for sharing!:)

06-20-2004, 04:58 PM
I could have sworn I left a comment here earlier.........Your dogs are so cute. I would love to see an agility show in real life. I've just seen them on tv. I'll bet you have to brush those dogs a lot with all that hair! I can only imagine the shedding. Duke sheds like crazy and doesn't have long hair like that.

06-20-2004, 05:04 PM
Originally posted by dukedogsmom
I could have sworn I left a comment here earlier.........Your dogs are so cute. I would love to see an agility show in real life. I've just seen them on tv. I'll bet you have to brush those dogs a lot with all that hair! I can only imagine the shedding. Duke sheds like crazy and doesn't have long hair like that.

Agility is so fun to watch! (And I bet even funner to compete in). If you ever get a chance to see one, please do! They're loads of fun and it's amazing to see the dogs work so closely with their owners. I found a link to a page of agility events in Florida just in case you're interested.. http://www.doortosummer.com/door/civic/eventsfrm.htm

Hehe, I actually don't brush them all that much. I just give them a full detailed brushing once a week and little quick brushes a couple times a week. The shedding on the other hand... :rolleyes: LOL! Well, that's why I like to call them "Shetland Shedders". :p

06-20-2004, 05:09 PM
Wow, wonderful pictures!

Agility is so much fun, my papillon and I have our first competition in 2 weeks. :) I am so relived, I thought we would never make it to as good as we are now....man 'o man did she give me trouble when we started.

I have a question- how big are your Shelties? ALL the Shelties we do agility with (and that I know) are so much smaller, about the size of my pap. just a bit bigger. Their noses are much more slender, too. Just wondering!


06-20-2004, 05:21 PM
Kaedyn is 15 inches (give or take .5 inches). Kai is 17.5 inches. Kai's a bit of a throw-off as far a typical Sheltie appearances go. He has a huge frame and is way longer than Kaedyn. His face is a bit off too. Kaedyn's a bit off of typical appearances as well but he's actually quite small.. he's pretty much at the expected size for Shelties. I've noticed a lot of agility (and flyball) Shelties are quite small though so maybe that's why my boys seem a bit big lol.

06-20-2004, 09:56 PM
Great pictures!! Wish we had more stuff like that around here, Claire would love it, Rebel wouldn't though, he's too worried so to speak.

06-21-2004, 03:38 PM
Cute pics!!!

And wow! I am impressed with Mr. Swimming Kai. Em and Clipse will only wade :)

06-21-2004, 03:51 PM
I missed these! Wonderful pics, I'm very proud of Kaedyn too. He sounds a bit how Tasha was around people at first. Imagine how shocked I was when at 7 months old, we were walking by some people and one lady reached out to touch Tash and she lunged at her with a snarl! :eek: She growled at people a few more times after that, but seems totally over that now. I don't know why it started, I socialized her vigorously, but she has just never liked strangers. I took her to puppy classes and she was timid and nervous until she got used to the people after a few sessions, then she was fine. She often warms up to other women with no problem but is extremely suspicious of men she doesn't know. Anyway, to this day I still worry a bit when I'm around a lot of people that someone will suddenly reach down to touch her and she will lunge like that.

I'm in awe that Kai liked to swim too. My collies would wade a bit but never swim. They hated for water to get past their elbows. He's such a sweetie. He has a bit more of a collie look to him IMO. :)

06-21-2004, 10:49 PM
Originally posted by K9soul
I'm in awe that Kai liked to swim too. My collies would wade a bit but never swim. They hated for water to get past their elbows. He's such a sweetie. He has a bit more of a collie look to him IMO. :)

I was completely shocked that he even attempted to lay a foot in the water. He's usually timid of everything so I didn't expect him to go in but he sure surprised me by following me in. :D

There was a time that my mom and I thought he might have collie or some other breed in him. But now I think he was just the "ugly duckling" in his litter (although, he sure is a CUTE "ugly duckling"!)

06-21-2004, 10:56 PM
Originally posted by binka_nugget
There was a time that my mom and I thought he might have collie or some other breed in him. But now I think he was just the "ugly duckling" in his litter (although, he sure is a CUTE "ugly duckling"!)

I've seen definite purebred shelties that have the same sort of build and look of Kai. I think like you said, it is a bit of a throwback to the probable original sheltie :). I personally really like the collie-ish look of him and the others I have seen like him :)

06-22-2004, 08:31 AM
Oh my those two of yours are just something else! I think they get more handsome every time I see them:D
It really looks like they had a great day...and they even attempted to get in the water! More than mine would do!

I love the pictures and the one you choose for your siggy is awesome:D